File.
Record 1
A cluster of 2 separate species, C2HBrCl2OS in total, computed with ωB97M-V/def2-TZVPD.

```
8
Properties=species:S:1:pos:R:3:nbo_charge:R:1
C -0.775 -0.046 0.298 -0.303
C 1.599 -0.240 0.735 -0.293
O -1.498 -0.304 -0.901 -0.578
S -1.511 1.278 -0.423 1.022
Cl 1.370 -1.697 1.698 -0.049
Cl -0.120 2.085 -1.612 -0.101
Br 2.268 -0.518 -0.928 0.098
H -1.333 -0.558 1.133 0.205
```

As for the orbital gap (alpha / beta): 6.9 / 6.9 eV. The HOMO energy (alpha / beta) comes out at -7.86 / -7.85 eV. The spin multiplicity is 1. As for the charge: 0. The energy above the lowest of the compared OMol25 structures with the same formula, charge and spin comes out at 101.1 kcal/mol.


Record 2
A cluster of 2 separate species, CH5OS in total, computed with ωB97M-V/def2-TZVPD.

```
8
Properties=species:S:1:pos:R:3:mulliken_spin:R:1
C 0.838 -0.444 0.750 -0.021
S -0.757 -1.186 0.616 0.955
H 0.367 0.524 1.268 0.065
H 1.365 -1.066 1.363 0.003
H 1.345 -0.287 -0.161 0.002
H -1.034 0.131 -1.020 -0.010
H -0.705 1.450 -1.191 0.001
O -1.420 0.878 -1.625 0.004
```

As for the orbital gap (alpha / beta): 10.5 / 7.2 eV. The HOMO energy (alpha / beta) comes out at -9.83 / -9.45 eV. The spin multiplicity is 2. As for the charge: 0. The energy above the lowest of the compared OMol25 structures with the same formula, charge and spin comes out at 23.3 kcal/mol.


Record 3
The molecule C13H22N2OS, computed with ωB97M-V/def2-TZVPD.

```
39
Properties=species:S:1:pos:R:3:nbo_charge:R:1
C 4.509 0.279 -2.791 -0.562
C 3.127 1.067 -2.492 -0.385
C 2.816 1.034 -0.992 -0.373
C 2.620 -0.193 -0.404 -0.527
H 3.398 -0.767 -0.738 0.240
H 2.660 0.031 0.677 0.248
C 1.527 -0.716 -0.826 -0.092
N 1.149 -2.227 -0.392 -0.603
C 0.109 -2.234 0.420 0.277
S -0.428 -3.397 1.456 -0.265
N -0.435 -1.147 0.431 -0.420
C 0.212 -0.245 -0.562 0.672
O -0.274 1.131 -0.883 -0.620
C -1.751 -0.707 1.155 0.006
C -2.940 -0.365 -0.018 -0.333
C -4.067 0.021 0.919 -0.385
C -4.022 1.304 1.822 -0.402
C -2.794 0.930 2.817 -0.363
C -1.659 0.434 2.048 -0.458
H -1.180 1.418 1.532 0.211
H -0.756 0.318 2.634 0.221
H -2.516 1.670 3.533 0.219
H -3.064 -0.100 3.470 0.170
H -4.768 1.334 2.470 0.217
H -3.822 1.795 1.044 0.211
H -5.051 0.138 0.179 0.184
H -4.515 -0.753 1.393 0.203
H -2.629 0.349 -0.486 0.193
H -2.910 -1.137 -0.511 0.193
H -2.022 -1.465 1.753 0.227
H 1.842 -3.042 -0.293 0.429
H 1.382 -0.983 -2.116 0.263
H 2.067 1.739 -0.881 0.245
H 3.782 1.720 -0.610 0.197
H 3.424 2.156 -2.943 0.226
H 2.426 0.472 -3.006 0.195
H 5.261 0.561 -2.436 0.162
H 4.499 -0.744 -2.446 0.178
H 4.791 0.320 -3.927 0.200
```

As for the orbital gap: 7.7 eV. Its SMILES is CCCC[C@H]1NC(=S)N(C2CCCCC2)C1=O. The HOMO energy comes out at -8.30 eV. The spin multiplicity is 1. As for the charge: 0. The energy above the lowest of the compared OMol25 structures with the same formula, charge and spin comes out at 291.9 kcal/mol.


Record 4
A cluster of 3 separate species, CH6N2OS2 in total, computed with ωB97M-V/def2-TZVPD.

```
12
Properties=species:S:1:pos:R:3:nbo_charge:R:1
C -3.595 3.323 0.076 -0.037
N 3.802 -3.017 -0.118 -1.073
N -3.198 2.145 -0.034 -0.595
O 4.593 2.231 0.865 -0.823
S 2.232 1.881 -0.661 -0.254
S 3.967 1.331 -0.083 1.076
H -4.615 3.645 0.317 0.141
H -2.874 4.116 -0.080 0.157
H 4.644 -3.399 -0.534 0.357
H 3.073 -3.045 -0.822 0.358
H 3.522 -3.638 0.631 0.358
H -3.904 1.424 0.118 0.334
```

As for the orbital gap: 8.4 eV. The HOMO energy comes out at -9.98 eV. The spin multiplicity is 1. As for the charge: 0. The energy above the lowest of the compared OMol25 structures with the same formula, charge and spin comes out at 59.7 kcal/mol.


Record 5
The ion C4H10N3 with charge +1, computed with ωB97M-V/def2-TZVPD.

```
17
Properties=species:S:1:pos:R:3:nbo_charge:R:1
C -0.640 0.042 -1.110 0.293
C 0.986 -1.662 -0.033 -0.205
C 0.817 -0.452 0.850 -0.055
C 0.578 -0.778 2.367 -0.597
N -0.174 -0.736 -0.117 -0.374
N -0.413 1.350 -1.013 -0.389
N -1.261 2.299 -1.767 -0.555
H -1.081 -0.568 -1.862 0.200
H 1.607 -1.774 -0.890 0.229

Assignment.
It remains to print everything further up character by character.

Completed.
Record 1
A cluster of 2 separate species, C2HBrCl2OS in total, computed with ωB97M-V/def2-TZVPD.

```
8
Properties=species:S:1:pos:R:3:nbo_charge:R:1
C -0.775 -0.046 0.298 -0.303
C 1.599 -0.240 0.735 -0.293
O -1.498 -0.304 -0.901 -0.578
S -1.511 1.278 -0.423 1.022
Cl 1.370 -1.697 1.698 -0.049
Cl -0.120 2.085 -1.612 -0.101
Br 2.268 -0.518 -0.928 0.098
H -1.333 -0.558 1.133 0.205
```

As for the orbital gap (alpha / beta): 6.9 / 6.9 eV. The HOMO energy (alpha / beta) comes out at -7.86 / -7.85 eV. The spin multiplicity is 1. As for the charge: 0. The energy above the lowest of the compared OMol25 structures with the same formula, charge and spin comes out at 101.1 kcal/mol.


Record 2
A cluster of 2 separate species, CH5OS in total, computed with ωB97M-V/def2-TZVPD.

```
8
Properties=species:S:1:pos:R:3:mulliken_spin:R:1
C 0.838 -0.444 0.750 -0.021
S -0.757 -1.186 0.616 0.955
H 0.367 0.524 1.268 0.065
H 1.365 -1.066 1.363 0.003
H 1.345 -0.287 -0.161 0.002
H -1.034 0.131 -1.020 -0.010
H -0.705 1.450 -1.191 0.001
O -1.420 0.878 -1.625 0.004
```

As for the orbital gap (alpha / beta): 10.5 / 7.2 eV. The HOMO energy (alpha / beta) comes out at -9.83 / -9.45 eV. The spin multiplicity is 2. As for the charge: 0. The energy above the lowest of the compared OMol25 structures with the same formula, charge and spin comes out at 23.3 kcal/mol.


Record 3
The molecule C13H22N2OS, computed with ωB97M-V/def2-TZVPD.

```
39
Properties=species:S:1:pos:R:3:nbo_charge:R:1
C 4.509 0.279 -2.791 -0.562
C 3.127 1.067 -2.492 -0.385
C 2.816 1.034 -0.992 -0.373
C 2.620 -0.193 -0.404 -0.527
H 3.398 -0.767 -0.738 0.240
H 2.660 0.031 0.677 0.248
C 1.527 -0.716 -0.826 -0.092
N 1.149 -2.227 -0.392 -0.603
C 0.109 -2.234 0.420 0.277
S -0.428 -3.397 1.456 -0.265
N -0.435 -1.147 0.431 -0.420
C 0.212 -0.245 -0.562 0.672
O -0.274 1.131 -0.883 -0.620
C -1.751 -0.707 1.155 0.006
C -2.940 -0.365 -0.018 -0.333
C -4.067 0.021 0.919 -0.385
C -4.022 1.304 1.822 -0.402
C -2.794 0.930 2.817 -0.363
C -1.659 0.434 2.048 -0.458
H -1.180 1.418 1.532 0.211
H -0.756 0.318 2.634 0.221
H -2.516 1.670 3.533 0.219
H -3.064 -0.100 3.470 0.170
H -4.768 1.334 2.470 0.217
H -3.822 1.795 1.044 0.211
H -5.051 0.138 0.179 0.184
H -4.515 -0.753 1.393 0.203
H -2.629 0.349 -0.486 0.193
H -2.910 -1.137 -0.511 0.193
H -2.022 -1.465 1.753 0.227
H 1.842 -3.042 -0.293 0.429
H 1.382 -0.983 -2.116 0.263
H 2.067 1.739 -0.881 0.245
H 3.782 1.720 -0.610 0.197
H 3.424 2.156 -2.943 0.226
H 2.426 0.472 -3.006 0.195
H 5.261 0.561 -2.436 0.162
H 4.499 -0.744 -2.446 0.178
H 4.791 0.320 -3.927 0.200
```

As for the orbital gap: 7.7 eV. Its SMILES is CCCC[C@H]1NC(=S)N(C2CCCCC2)C1=O. The HOMO energy comes out at -8.30 eV. The spin multiplicity is 1. As for the charge: 0. The energy above the lowest of the compared OMol25 structures with the same formula, charge and spin comes out at 291.9 kcal/mol.


Record 4
A cluster of 3 separate species, CH6N2OS2 in total, computed with ωB97M-V/def2-TZVPD.

```
12
Properties=species:S:1:pos:R:3:nbo_charge:R:1
C -3.595 3.323 0.076 -0.037
N 3.802 -3.017 -0.118 -1.073
N -3.198 2.145 -0.034 -0.595
O 4.593 2.231 0.865 -0.823
S 2.232 1.881 -0.661 -0.254
S 3.967 1.331 -0.083 1.076
H -4.615 3.645 0.317 0.141
H -2.874 4.116 -0.080 0.157
H 4.644 -3.399 -0.534 0.357
H 3.073 -3.045 -0.822 0.358
H 3.522 -3.638 0.631 0.358
H -3.904 1.424 0.118 0.334
```

As for the orbital gap: 8.4 eV. The HOMO energy comes out at -9.98 eV. The spin multiplicity is 1. As for the charge: 0. The energy above the lowest of the compared OMol25 structures with the same formula, charge and spin comes out at 59.7 kcal/mol.


Record 5
The ion C4H10N3 with charge +1, computed with ωB97M-V/def2-TZVPD.

```
17
Properties=species:S:1:pos:R:3:nbo_charge:R:1
C -0.640 0.042 -1.110 0.293
C 0.986 -1.662 -0.033 -0.205
C 0.817 -0.452 0.850 -0.055
C 0.578 -0.778 2.367 -0.597
N -0.174 -0.736 -0.117 -0.374
N -0.413 1.350 -1.013 -0.389
N -1.261 2.299 -1.767 -0.555
H -1.081 -0.568 -1.862 0.200
H 1.607 -1.774 -0.890 0.229